Job:
Next, duplicate the lines underneath up to the one that holds "-0.42133 -4.03840", that line included.
Input:
<<<
150
Properties=species:S:1:pos:R:3:lowdin_charge:R:1 method="wB97M-V/def2-TZVPD" orbital_gap_ev=9.60 smiles="CCCCCCCCCCCCCCCC[C@@]1(CCCCOC)C[C@H]([C@H](Br)CC)NC1=O.BrCCBr.BrCCBr.BrCCBr.BrCCBr.BrCCBr.BrCCBr.BrCCBr.BrCCBr" lumo_ha=0.01026
C 3.33606 -2.80820 1.89091 -0.1650
C 3.86474 -1.31734 2.05234 -0.2329
C 4.04346 -0.48993 0.69557 -0.2022
C 4.37688 -1.35697 -0.59754 -0.2113
C 3.15884 -1.61848 -1.59641 -0.2283
C 1.70359 -1.46234 -0.97593 -0.1963
C 0.96552 -0.08302 -1.37324 -0.1990
C -0.36777 0.01661 -0.46836 -0.1876
C 0.07493 0.61635 0.95272 -0.1862
C -0.31422 -0.35758 2.18845 -0.2080
C -1.59156 0.29424 2.89472 -0.1979
C -2.01087 -0.35866 4.29479 -0.2005
C -3.55844 -0.23717 4.65594 -0.2115
C -4.06798 1.24410 4.93172 -0.1953
C -4.17351 2.16757 3.63621 -0.2005
C -4.93260 1.50231 2.40503 -0.1301
C -4.74597 2.27886 1.00865 -0.2784
C -3.54136 3.30912 0.84714 -0.1145
C -3.49903 4.13161 -0.51684 -0.1683
C -2.24543 3.74042 -1.46541 -0.1692
C -0.83303 4.01048 -0.79380 -0.2480
O -0.55286 5.40577 -0.55943 -0.1958
C 0.28641 5.41750 0.62963 -0.1432
C -4.69439 1.04014 -0.04081 -0.0713
C -6.16374 0.43706 -0.00547 -0.3470
C -6.66109 -0.52167 -1.18520 -0.5965
Br -8.65377 -0.74388 -1.01891 0.6339
C -5.95026 -1.94844 -1.21951 -0.2726
C -5.62363 -2.56620 0.21926 -0.1224
N -6.98386 1.70201 0.01860 0.0469
C -6.19983 2.82902 0.55816 -0.3301
O -6.60198 4.00301 0.61000 0.0460
H 2.19662 -2.83609 1.79000 0.0364
H 3.85439 -3.42626 1.10379 -0.0146
H 3.54460 -3.33617 2.88954 0.0390
H 3.07155 -0.75961 2.66953 0.0907
H 4.82060 -1.23277 2.67786 0.1061
H 4.95080 0.19431 0.85933 0.1064
H 3.17048 0.23780 0.55367 0.0838
H 4.91279 -2.34149 -0.36691 0.0578
H 5.14963 -0.75148 -1.19316 0.0909
H 3.26991 -2.69637 -1.97316 0.0436
H 3.22336 -0.92768 -2.50257 0.0386
H 1.04897 -2.28305 -1.44112 0.1192
H 1.63022 -1.60313 0.14341 0.0834
H 0.68067 -0.07163 -2.48166 0.0949
H 1.64758 0.79968 -1.16872 0.1031
H -0.88257 -0.98313 -0.33152 0.1061
H -1.11333 0.71049 -0.97422 0.0843
H 1.18055 0.91046 0.98864 0.0981
H -0.49177 1.60634 1.07142 0.0705
H 0.54385 -0.29688 2.92567 0.1021
H -0.52191 -1.39194 1.78650 0.0554
H -1.30397 1.38242 3.12205 0.0810
H -2.43211 0.35040 2.13258 0.0983
H -1.79125 -1.48760 4.21688 0.0504
H -1.36234 0.01640 5.15673 0.1183
H -4.14799 -0.80722 3.87341 0.1044
H -3.70555 -0.81482 5.63675 0.1122
H -3.42215 1.75371 5.72511 0.1154
H -5.11406 1.16393 5.39092 0.1107
H -3.09929 2.46206 3.36575 0.0583
H -4.69080 3.15313 3.90502 0.1251
H -6.03717 1.37828 2.68731 0.1401
H -4.55946 0.43532 2.22308 0.0895
H -2.56962 2.73675 1.05911 0.1023
H -3.62047 4.07250 1.69682 0.1214
H -3.39568 5.24582 -0.27585 0.1206
H -4.42108 4.02608 -1.16802 0.0852
H -2.32819 4.31849 -2.43973 0.0937
H -2.38988 2.62788 -1.69996 0.0955
H -0.76067 3.44322 0.18854 0.0783
H -0.04560 3.54009 -1.48598 0.1355
H 0.62236 6.48502 0.87024 0.0958
H 1.22260 4.78589 0.51450 0.1021
H -0.26635 5.03066 1.54804 -0.0176
H -4.48699 1.42213 -1.09239 0.1181
H -3.80016 0.37820 0.18366 0.1138
H -6.53736 -0.09635 0.91997 0.1160
H -6.39985 0.00650 -2.16852 0.1088
H -6.69056 -2.66378 -1.71797 0.0900
H -5.00462 -1.98674 -1.84144 0.1118
H -5.82068 -3.69286 0.14042 0.0788
H -6.28651 -2.19375 1.05648 0.0690
H -4.51821 -2.47783 0.49594 0.0752
H -7.36173 2.00134 -0.89364 0.0192
Br -0.19042 -3.63410 3.50278 0.6833
C 0.08482 -3.25291 5.39403 -0.6600
C 1.55278 -3.13810 5.71939 -0.6845
Br 2.39892 -4.89172 5.81050 0.6047
H -0.42133 -4.03840 5.95349 0.0556
H -0.42282 -2.30374 5.56971 0.0343
H 1.69364 -2.70319 6.70955 0.0594
H 2.11110 -2.55443 4.98797 0.0405
Br -4.74004 3.11015 -4.28204 0.6160
C -4.29852 4.52988 -5.54176 -0.6847
C -4.57571 5.88952 -4.95177 -0.6948
Br -6.48343 6.28958 -4.96011 0.6034
H -4.86118 4.33217 -6.45295 0.0521
H -3.23370 4.40872 -5.74463 0.0585
H -4.11873 6.67186 -5.55870 0.0582
H -4.23518 5.98927 -3.92189 0.0463
Br 5.89019 -5.15466 2.25495 0.6645
C 5.74364 -6.58276 0.93434 -0.6695
C 6.07301 -6.08249 -0.44986 -0.6793
Br 4.59363 -5.05496 -1.19702 0.6960
H 4.73703 -6.99059 1.01616 0.0554
>>>
Here it is:
150
Properties=species:S:1:pos:R:3:lowdin_charge:R:1 method="wB97M-V/def2-TZVPD" orbital_gap_ev=9.60 smiles="CCCCCCCCCCCCCCCC[C@@]1(CCCCOC)C[C@H]([C@H](Br)CC)NC1=O.BrCCBr.BrCCBr.BrCCBr.BrCCBr.BrCCBr.BrCCBr.BrCCBr.BrCCBr" lumo_ha=0.01026
C 3.33606 -2.80820 1.89091 -0.1650
C 3.86474 -1.31734 2.05234 -0.2329
C 4.04346 -0.48993 0.69557 -0.2022
C 4.37688 -1.35697 -0.59754 -0.2113
C 3.15884 -1.61848 -1.59641 -0.2283
C 1.70359 -1.46234 -0.97593 -0.1963
C 0.96552 -0.08302 -1.37324 -0.1990
C -0.36777 0.01661 -0.46836 -0.1876
C 0.07493 0.61635 0.95272 -0.1862
C -0.31422 -0.35758 2.18845 -0.2080
C -1.59156 0.29424 2.89472 -0.1979
C -2.01087 -0.35866 4.29479 -0.2005
C -3.55844 -0.23717 4.65594 -0.2115
C -4.06798 1.24410 4.93172 -0.1953
C -4.17351 2.16757 3.63621 -0.2005
C -4.93260 1.50231 2.40503 -0.1301
C -4.74597 2.27886 1.00865 -0.2784
C -3.54136 3.30912 0.84714 -0.1145
C -3.49903 4.13161 -0.51684 -0.1683
C -2.24543 3.74042 -1.46541 -0.1692
C -0.83303 4.01048 -0.79380 -0.2480
O -0.55286 5.40577 -0.55943 -0.1958
C 0.28641 5.41750 0.62963 -0.1432
C -4.69439 1.04014 -0.04081 -0.0713
C -6.16374 0.43706 -0.00547 -0.3470
C -6.66109 -0.52167 -1.18520 -0.5965
Br -8.65377 -0.74388 -1.01891 0.6339
C -5.95026 -1.94844 -1.21951 -0.2726
C -5.62363 -2.56620 0.21926 -0.1224
N -6.98386 1.70201 0.01860 0.0469
C -6.19983 2.82902 0.55816 -0.3301
O -6.60198 4.00301 0.61000 0.0460
H 2.19662 -2.83609 1.79000 0.0364
H 3.85439 -3.42626 1.10379 -0.0146
H 3.54460 -3.33617 2.88954 0.0390
H 3.07155 -0.75961 2.66953 0.0907
H 4.82060 -1.23277 2.67786 0.1061
H 4.95080 0.19431 0.85933 0.1064
H 3.17048 0.23780 0.55367 0.0838
H 4.91279 -2.34149 -0.36691 0.0578
H 5.14963 -0.75148 -1.19316 0.0909
H 3.26991 -2.69637 -1.97316 0.0436
H 3.22336 -0.92768 -2.50257 0.0386
H 1.04897 -2.28305 -1.44112 0.1192
H 1.63022 -1.60313 0.14341 0.0834
H 0.68067 -0.07163 -2.48166 0.0949
H 1.64758 0.79968 -1.16872 0.1031
H -0.88257 -0.98313 -0.33152 0.1061
H -1.11333 0.71049 -0.97422 0.0843
H 1.18055 0.91046 0.98864 0.0981
H -0.49177 1.60634 1.07142 0.0705
H 0.54385 -0.29688 2.92567 0.1021
H -0.52191 -1.39194 1.78650 0.0554
H -1.30397 1.38242 3.12205 0.0810
H -2.43211 0.35040 2.13258 0.0983
H -1.79125 -1.48760 4.21688 0.0504
H -1.36234 0.01640 5.15673 0.1183
H -4.14799 -0.80722 3.87341 0.1044
H -3.70555 -0.81482 5.63675 0.1122
H -3.42215 1.75371 5.72511 0.1154
H -5.11406 1.16393 5.39092 0.1107
H -3.09929 2.46206 3.36575 0.0583
H -4.69080 3.15313 3.90502 0.1251
H -6.03717 1.37828 2.68731 0.1401
H -4.55946 0.43532 2.22308 0.0895
H -2.56962 2.73675 1.05911 0.1023
H -3.62047 4.07250 1.69682 0.1214
H -3.39568 5.24582 -0.27585 0.1206
H -4.42108 4.02608 -1.16802 0.0852
H -2.32819 4.31849 -2.43973 0.0937
H -2.38988 2.62788 -1.69996 0.0955
H -0.76067 3.44322 0.18854 0.0783
H -0.04560 3.54009 -1.48598 0.1355
H 0.62236 6.48502 0.87024 0.0958
H 1.22260 4.78589 0.51450 0.1021
H -0.26635 5.03066 1.54804 -0.0176
H -4.48699 1.42213 -1.09239 0.1181
H -3.80016 0.37820 0.18366 0.1138
H -6.53736 -0.09635 0.91997 0.1160
H -6.39985 0.00650 -2.16852 0.1088
H -6.69056 -2.66378 -1.71797 0.0900
H -5.00462 -1.98674 -1.84144 0.1118
H -5.82068 -3.69286 0.14042 0.0788
H -6.28651 -2.19375 1.05648 0.0690
H -4.51821 -2.47783 0.49594 0.0752
H -7.36173 2.00134 -0.89364 0.0192
Br -0.19042 -3.63410 3.50278 0.6833
C 0.08482 -3.25291 5.39403 -0.6600
C 1.55278 -3.13810 5.71939 -0.6845
Br 2.39892 -4.89172 5.81050 0.6047
H -0.42133 -4.03840 5.95349 0.0556